• Work order:
Your job: type out the part of the rows further down that starts with the line with "1.90 3.75" and stops after the one with "2.82 -0.30".

• File:
<<<
No. 1
C32H29N5O2Pt | ωB97M-V/def2-TZVPD

```
69
Properties=species:S:1:pos:R:3:lowdin_charge:R:1
Pt 1.17 0.04 -0.72 1.216
C 3.21 1.43 -1.84 -0.112
N 1.89 1.78 -1.30 -0.102
C 1.35 2.92 -1.42 -0.065
C -0.87 2.21 -0.58 -0.313
C -2.20 2.47 -0.41 -0.018
C -2.80 1.23 -0.09 -0.057
C -1.80 0.29 -0.10 -0.147
N -0.60 0.88 -0.39 -0.128
C 3.18 -0.09 -1.84 -0.328
C 3.42 -0.78 -0.64 -0.131
C 3.48 -2.20 -0.64 -0.062
C 3.28 -2.89 -1.81 -0.050
C 3.03 -2.20 -3.01 -0.046
C 2.99 -0.83 -3.03 -0.029
H 3.98 1.79 -1.15 0.141
H 3.39 1.85 -2.83 0.139
H 1.90 3.75 -1.83 0.170
H -2.70 3.42 -0.51 0.122
H -3.84 1.05 0.09 0.110
H -1.88 -0.77 0.06 0.098
H 3.72 -0.24 0.25 0.121
H 3.71 -2.72 0.27 0.125
H 3.34 -3.97 -1.81 0.129
H 2.90 -2.76 -3.93 0.126
H 2.82 -0.30 -3.96 0.128
N 0.12 3.21 -0.86 0.056
C 0.00 4.48 -0.35 -0.064
C 0.30 5.57 -1.24 -0.181
C 0.90 6.75 -0.77 0.003
C 1.15 7.78 -1.66 -0.027
C 0.80 7.65 -3.00 -0.014
C 0.20 6.49 -3.47 -0.031
C -0.04 5.44 -2.60 -0.002
C -0.37 4.68 1.02 -0.159
C -1.01 5.86 1.43 0.004
C -1.28 6.09 2.76 -0.028
C -0.90 5.14 3.71 -0.013
C -0.27 3.96 3.32 -0.031
C -0.02 3.71 1.99 0.014
H 1.20 6.84 0.26 0.131
H 1.63 8.69 -1.31 0.124
H 0.99 8.47 -3.68 0.126
H -0.09 6.41 -4.50 0.122
H -0.54 4.55 -2.95 0.131
H -1.33 6.58 0.68 0.131
H -1.79 6.99 3.07 0.124
H -1.10 5.32 4.75 0.125
H 0.02 3.23 4.07 0.120
H 0.46 2.79 1.69 0.120
O -0.83 -2.23 -4.20 -0.051
C -1.69 -3.24 -3.70 -0.234
N -1.03 -4.50 -3.47 0.113
C -0.34 -4.89 -2.37 -0.438
O 0.17 -5.99 -2.28 0.109
C -0.18 -3.94 -1.22 -0.084
C -0.29 -4.46 0.07 0.052
C -0.04 -3.64 1.16 0.002
C 0.36 -2.33 0.93 -0.103
N 0.49 -1.84 -0.31 -0.131
C 0.22 -2.62 -1.37 -0.076
H -0.67 -2.39 -5.14 0.100
H -2.52 -3.41 -4.38 0.140
H -2.09 -2.85 -2.76 0.128
H -1.07 -5.20 -4.20 0.160
H -0.57 -5.49 0.20 0.142
H -0.13 -4.00 2.17 0.126
H 0.59 -1.66 1.74 0.125
H 0.34 -2.18 -2.35 0.102
```

Properties
**F_max**: 0.7 eV/A
**Relative energy (zero: lowest compared OMol25 entry of this formula, charge and spin)**: 0.0 kJ/mol
**LUMO energy (alpha / beta)**: -0.269 / -0.269 Eh
**E_HOMO (alpha / beta)**: -13.123 / -13.122 eV
**Total charge**: +2
**Electronic energy**: -48433.2120 eV

***

No. 2
C32H29NO4STc | ωB97M-V/def2-TZVPD

```
68
Properties=species:S:1:pos:R:3:lowdin_charge:R:1
Tc -0.40 -1.12 0.63 1.702
C -1.59 -3.92 2.78 -0.011
C -0.90 -2.60 2.77 -0.285
C 0.50 -2.50 2.81 -0.044
C 1.13 -1.26 2.83 -0.056
C 0.39 -0.08 2.88 -0.083
C -1.01 -0.15 2.87 -0.107
C -1.64 -1.40 2.77 -0.072
H -2.56 -3.88 2.27 0.097
H -1.77 -4.22 3.81 0.115
H -0.98 -4.70 2.32 0.091
H 1.10 -3.40 2.74 0.143
H 2.21 -1.22 2.79 0.141
H 0.88 0.89 2.94 0.122
H -1.60 0.75 2.90 0.128
H -2.72 -1.44 2.74 0.143
C 0.35 4.15 2.30 -0.064
C -0.73 4.80 1.44 -0.556
C -1.73 5.51 2.37 -0.031
C -0.06 5.82 0.51 -0.030
C -1.49 3.78 0.59 -0.139
C -2.52 4.21 -0.26 0.007
C -3.23 3.35 -1.06 -0.033
C -2.92 2.00 -1.01 -0.425
S -3.60 0.68 -1.91 1.237
C -2.56 -0.41 -1.13 -0.508
N -1.76 0.16 -0.23 -0.070
C -1.92 1.54 -0.16 -0.263
C -1.18 2.43 0.63 0.030
C -2.44 -1.84 -1.31 -0.228
C -3.23 -2.61 -2.16 -0.001
C -3.00 -3.97 -2.23 -0.022
C -2.00 -4.56 -1.47 -0.028
C -1.20 -3.79 -0.63 -0.073
C -1.43 -2.43 -0.54 -0.178
H 0.86 4.92 2.88 0.097
H 1.11 3.64 1.69 0.089
H -0.07 3.44 3.01 0.080
H -1.20 6.24 2.98 0.097
H -2.23 4.81 3.03 0.094
H -2.49 6.05 1.81 0.085
H 0.48 6.56 1.10 0.097
H -0.79 6.37 -0.09 0.085
H 0.64 5.34 -0.17 0.096
H -2.76 5.27 -0.29 0.125
H -4.01 3.72 -1.71 0.128
H -0.37 2.06 1.24 0.078
H -4.01 -2.15 -2.76 0.123
H -3.61 -4.58 -2.88 0.126
H -1.82 -5.63 -1.54 0.125
H -0.40 -4.26 -0.08 0.106
O 1.28 -2.45 0.24 -0.093
C 1.67 -1.63 -0.65 -0.502
O 0.90 -0.58 -0.75 -0.105
C 2.78 -1.83 -1.54 -0.146
C 3.52 -3.01 -1.43 0.015
C 4.60 -3.26 -2.27 0.053
C 4.88 -2.29 -3.20 -0.187
O 5.86 -2.30 -4.11 0.086
C 5.76 -1.07 -4.86 -0.064
O 4.65 -0.36 -4.33 0.062
C 4.14 -1.11 -3.32 -0.191
C 3.08 -0.84 -2.51 0.096
H 3.24 -3.73 -0.67 0.126
H 5.18 -4.17 -2.20 0.136
H 5.58 -1.31 -5.91 0.149
H 6.68 -0.50 -4.71 0.149
H 2.50 0.07 -2.60 0.139
```

Properties
**F_max**: 0.9 eV/A
>>>

• Response:
H 1.90 3.75 -1.83 0.170
H -2.70 3.42 -0.51 0.122
H -3.84 1.05 0.09 0.110
H -1.88 -0.77 0.06 0.098
H 3.72 -0.24 0.25 0.121
H 3.71 -2.72 0.27 0.125
H 3.34 -3.97 -1.81 0.129
H 2.90 -2.76 -3.93 0.126
H 2.82 -0.30 -3.96 0.128